Jan 18, 2019 · Hi all, Like many others it took me some time to figure out how to have a working Docker-CE installation inside an unprivileged LXC container created on my Proxmox server. I currently run Proxmox v.5.3-6. I considered that it might be interresting to summarize my thoughts with others in search of a similar config. So here is how Docker-CE was successfully installed for me on Ubuntu 16.04 ...
25.03.2021 · Setup Docker in LXC#. Now, login to the newly created LXC container via ssh. Optionally install sudo: Set time zone. In unprivileged containers, use: Install Docker. This is from the docs . Change the storage driver to overlay2. Keep an eye open if you have subnets in the range.
27.10.2019 · Because lxc and docker are using the same kind of isolation ( aka kernel namespace ) , you can not run docker in a unprivileged lxc . You lxc container must have privilege . But you can run docker in regular virtual machine ( kvm , virtualbox , ...
Docker in unprivileged LXC container with ZFS Optional (Native Overlay Diff) It's not required but if you want Native Overlay Diff to be true you need to edit /etc/modules and add overlay and aufs and then reboot.
20.02.2015 · However, if Docker is not a requirement and you can do well with LXC, start experimenting with unprivileged containers and consider using them in production. Programs like Apache will complain that it's unable to change its ulimit (because setting the ulimit is a privilege of the real root user).
I moved my development machine into an unprivileged LXC container (I use Visual Studio Code’s Remote Development extension to do all my work over ssh) and this guide worked perfectly. Installing Docker Machine as well allows me to manage my homelab Docker host, and using the machine-share npm package allowed me to migrate my Docker Machine ...
Create an unprivileged LXC container and turn on nesting. Install docker and move or delete the contents of /var/lib/docker. Using the GUI under container resources, add a mount point with path /var/lib/docker. For me this created an 8gb .raw disk file in my ZFS pool. After this I was able to reboot the container and restart docker successfully ...
I just launched a Debian 10 unprivileged container. Only thing I did was to enable nesting $ uname -a Linux dockerlxc 5.4.78-2-pve #1 SMP PVE 5.4.78-2 (Thu, 03 …
Create an unprivileged LXC container and turn on nesting. Install docker and move or delete the contents of /var/lib/docker. Using the GUI under container resources, add a mount point with path /var/lib/docker. For me this created an 8gb .raw disk file in my ZFS pool. After this I was able to reboot the container and restart docker successfully ...
Records of molecules from another source follow >
# C2H4ClNO

A cluster of 2 separate species, C2H4ClNO in total in a non-equilibrium geometry (ωB97M-V/def2-TZVPD, OMol25).

LUMO (spin up / spin down) in Eh: 0.000 / -0.006
E in eV: -18194.9461
Frontier orbital gap (spin up / spin down) in eV: 7.393 / 6.755

```
9
C2H4ClNO ωB97M-V/def2-TZVPD
C -0.86 1.08 -0.46
C 1.37 -0.23 0.83
N -1.27 -0.02 -0.89
O -0.80 2.25 -0.32
Cl 0.68 -1.81 0.26
H 2.19 0.22 0.14
H 1.49 -0.38 1.90
H -0.53 -0.83 -0.68
H -2.27 -0.29 -0.79
```

These are the natural (NBO) partial charges, in e, on atoms 1 to 8: atom 1 (C): 0.874, atom 2 (C): -0.760, atom 3 (N): -0.851, atom 4 (O): -0.444, atom 5 (Cl): -0.072, atom 6 (H): 0.207, atom 7 (H): 0.194, atom 8 (H): 0.422

----------

Entry 1:
19
Properties=species:S:1:pos:R:3:forces:R:3 method="wB97M-V/def2-TZVPD" de_lowest_ev=7.942 total_charge=0
C 1.658 -0.967 0.445 3.902 0.569 1.067
C 0.587 -0.739 -0.619 1.277 -4.727 -3.383
C -0.401 0.268 -0.616 1.137 4.827 -0.139
C -1.218 0.407 0.566 -2.337 -3.728 2.736
C -0.361 1.220 -1.544 -0.018 1.192 -2.052
H 2.231 -0.229 2.391 -1.133 0.956 -0.887
H 1.827 1.386 1.383 -1.255 -5.220 1.250
H 2.969 -0.762 -0.095 -4.192 -0.446 1.681
H 1.737 -2.200 0.726 -0.432 3.886 -0.171
H 1.162 -0.727 -1.752 -1.783 -0.542 3.147
H -0.169 -1.639 -0.469 1.851 0.695 -0.921
H -1.163 1.388 1.225 0.006 -2.361 -1.433
H -0.793 -0.786 1.180 -1.837 4.259 -0.872
H -2.952 -1.007 0.288 0.930 4.151 -1.091
H -2.676 0.260 -1.007 -0.337 -0.636 2.456
H 0.215 1.155 -2.538 -0.908 0.274 1.899
N 1.422 0.101 1.779 3.135 1.087 -2.880
N -2.725 0.124 0.071 1.216 -2.736 -0.166
Cl -1.351 2.748 -1.414 0.775 -1.501 -0.241



Entry 2:
20
Properties=species:S:1:pos:R:3:forces:R:3 method="wB97M-V/def2-TZVPD" de_lowest_ev=0.000 total_charge=0
N -4.109 -0.619 -0.652 -0.116 -0.326 -0.242
C -2.727 -0.643 -0.609 -2.402 -1.064 0.009
O -2.244 0.518 -0.202 0.750 0.476 0.281
N -2.049 -1.673 -0.944 1.205 0.256 0.263
Cl -2.980 -3.016 -1.464 0.131 0.152 0.115
H -4.696 -1.331 -0.270 0.592 -1.166 -0.220
H -4.603 0.203 -0.478 0.029 2.001 0.272
H -1.284 0.534 -0.019 -0.095 -0.263 -0.564
C 0.802 1.687 0.097 -3.608 0.513 3.668
C 1.144 0.417 0.252 1.903 -0.478 -2.049
C 0.880 -0.688 1.236 -1.577 0.215 -1.645
C 2.183 -0.066 -0.777 2.589 2.346 3.037
H 0.006 2.274 0.743 1.594 -1.533 -0.814
H 1.177 2.344 -0.601 1.025 0.800 -1.830
H 0.733 -1.621 0.638 0.134 0.631 0.561
H -0.079 -0.496 1.718 0.434 -0.176 0.896
H 1.777 -0.800 1.817 0.023 -0.101 0.826
H 2.186 0.410 -1.700 -0.377 1.301 -1.572
H 3.272 0.186 -0.337 -2.202 -0.927 -0.818
H 2.098 -1.065 -0.984 -0.032 -2.660 -0.174



Entry 3:
23
Properties=species:S:1:pos:R:3:forces:R:3 method="wB97M-V/def2-TZVPD" de_lowest_ev=0.000 smiles="CC[C@]1(Cl)C(=[NH2+])N=NNNC1=[NH2+]" total_charge=+2
C 0.929 -0.794 -2.195 1.320 0.605 0.218
C 0.366 -1.145 -0.799 0.777 1.195 -0.261
C 0.615 -0.050 0.318 -0.059 -2.893 2.686
Cl 2.245 0.005 1.125 -0.569 0.026 -1.273
C -0.384 -0.841 1.693 -0.001 3.037 -2.932
N 0.237 -1.442 2.635 -0.982 0.346 -0.702
N -1.743 -0.844 1.651 1.745 -1.658 2.094
Jul 28, 2021 · since running docker involves enabling nesting (which exposes /proc and /sys of the host to the container), it can still be possible to break out of the LXC when nesting is enabled, but as you mentioned the uid of the LXC-root is an unprivileged user on the PVE host. what you'll need to consider is whether that's a risk for you, if you're providing access to your docker for untrusted users ...
18.01.2019 · Hi all, Like many others it took me some time to figure out how to have a working Docker-CE installation inside an unprivileged LXC container created on my Proxmox server. I currently run Proxmox v.5.3-6. I considered that it might be interresting to summarize my thoughts with others in search of a similar config. So here is how Docker-CE was successfully installed …
Oct 27, 2019 · I have unprivileged lxc container on Arch host created like this: lxc-create -n test_arch11 -t download -- --dist archlinux --release current --arch amd64. And it doesn't run docker. What I did inside a container: Installed docker from Arch repos pacman -S docker; Tried to run a hello-world container docker run hello-world; Got the next error:
10.08.2018 · Can't run a privileged docker container in LXC container #4902. dapapko opened this issue on Aug 10, 2018 · 2 comments. Comments. stgraber closed this on Aug 10, 2018. stgraber mentioned this issue on Aug 11, 2018.
12.08.2021 · We would like to enbable nesting and keyctl for our LXC containers. Our customers demand these features so they can install and use Docker. There are (fairly old) posts suggesting this would be a security risk and we should be careful if we really want to do it as it could be possible for an user to access the host node.
Docker in unprivileged LXC container with ZFS · Optional (Native Overlay Diff) · Create a unprivileged container · Enable keyctl and nesting · Steps to make it work ...
13.05.2021 · Create a new LXC Container In Proxmox VE create a unprivileged LXC container with fuse=1,keyctl=1,mknod=1,nesting=1 (I’m not sure if all are needed). In this case I use a Ubuntu 18.04 container. Installation of fuse-overlayfs fuse-overlayfs is a similar to overlayfs runs in userspace and can be used without root permissions1.
10.09.2019 · I am trying to run Docker containers inside LXC unprivileged container. Can anyone suggest what am I missing? If I remove apparmor from the LXC container it works fine. Seems like I need to do some
Mar 25, 2021 · Setup Docker in LXC#. Now, login to the newly created LXC container via ssh. Optionally install sudo: Set time zone. In unprivileged containers, use: Install Docker. This is from the docs . Change the storage driver to overlay2. Keep an eye open if you have subnets in the range.